So what are the effects of coronal hole winds and Coronal Mass Ejections (CMEs)?
They can actually raise the temperature of the outer layers of the Earth's atmosphere (the thermosphere, aptly named) sufficient to cause it to expand. This affects us, because that increases drag on satellites and spacecraft, and can cause the orbits of satellites to decay and re-enter well before they were intended. This is really bad if it's something important, like a weather satellite during hurricane season. After all, if the people of Galveston had had weather satellites in 1900, the city could have been evacuated well before it got hit, because they would have known it was coming for days. If we DON'T have weather satellites because we've lost 'em to increased atmospheric drag, we might as well go back to those days, as far as weather prediction is concerned. Ditto communications satellites. Don't even mention GPS.
(Data records from another source follow)
____________
Run a
ORCA calculation (ωB97M-V/def2-TZVPD) on a 2-piece molecular cluster, C8H14N2OS overall.

Each atom is followed by the atoms it is bonded to, with distances in Å.
Positions of all 26 atoms, in Å:
1 C -4.058 1.222 -0.113  C2 1.523, H10 1.088, H11 1.087, H12 1.088
2 C -2.790 0.387 -0.234  C1 1.523, C3 1.534, H13 1.093, H14 1.093
3 C -1.838 0.633 0.944  C2 1.534, C4 1.492, H15 1.094, H16 1.091
4 C -0.598 -0.183 0.799  C3 1.492, C5 1.331, H17 1.082
5 C 0.617 0.339 0.646  C4 1.331, N6 1.378, H18 1.083
6 N 1.804 -0.360 0.600  C5 1.378, C7 1.266
7 C 2.061 -1.393 -0.084  N6 1.266, C8 1.496, S9 1.765
8 C 1.198 -2.054 -1.112  C7 1.496, H19 1.089, H20 1.090, H21 1.089
9 S 3.653 -2.104 0.186  C7 1.765, H22 1.334
10 H -4.588 0.983 0.806  C1 1.088
11 H -4.722 1.031 -0.953  C1 1.087
12 H -3.816 2.283 -0.102  C1 1.088
13 H -2.276 0.637 -1.165  C2 1.093
14 H -3.053 -0.673 -0.271  C2 1.093
15 H -2.349 0.362 1.872  C3 1.094
16 H -1.584 1.693 0.991  C3 1.091
17 H -0.725 -1.256 0.844  C4 1.082
18 H 0.773 1.411 0.669  C5 1.083
19 H 0.349 -1.413 -1.345  C8 1.089
20 H 0.826 -3.007 -0.735  C8 1.090
21 H 1.768 -2.241 -2.020  C8 1.089
22 H 3.510 -3.101 -0.690  S9 1.334
23 N 3.908 1.376 0.757  C24 1.189, H26 1.014
24 C 4.170 2.023 -0.205  N23 1.189, O25 1.160
25 O 4.561 2.729 -1.038  C24 1.160
26 H 3.199 0.679 0.954  N23 1.014

The charge is 0. The LUMO energy comes out at 0.52 eV. As for the SMILES: CCC/C=C/N=C(\C)S.N=C=O. The calculation puts the HOMO energy at -8.855 eV.

Atomic partial charges in e from the Löwdin method, atoms 1 to 4: C -0.12; C -0.27; C -0.22; C -0.11

Run b
ORCA calculation (ωB97M-V/def2-TZVPD) on C8H14N2OS in the gas phase.

Each atom is followed by the atoms it is bonded to, with distances in Å.
Positions of all 26 atoms, in Å:
1 C 1.878 -2.210 0.114  C2 1.630, H13 1.069, H14 1.114, H15 1.156
2 C 0.665 -1.196 0.509  C1 1.630, C3 1.503, N4 1.526, C12 1.471
3 C 1.104 -0.575 1.805  C2 1.503, H16 1.149, H17 1.170, H18 1.133
4 N -0.624 -1.977 0.748  C2 1.526, C5 1.442, H19 1.075
5 C -1.633 -1.864 -0.275  N4 1.442, C6 1.481, H20 1.036, H21 1.082
6 C -2.074 -0.468 -0.503  C5 1.481, N7 1.483, H22 1.147, H23 1.079
7 N -0.852 0.372 -0.523  C6 1.483, C8 1.347, C12 1.463
8 C -1.062 1.653 -0.168  N7 1.347, O9 1.199, C10 1.633
9 O -2.113 2.188 0.053  C8 1.199
10 C 0.424 2.328 -0.111  C8 1.633, S11 1.798, H24 1.141, H25 1.151
11 S 1.688 1.186 -0.688  C10 1.798, C12 1.861
12 C 0.481 -0.227 -0.582  C2 1.471, N7 1.463, S11 1.861, H26 1.080
13 H 2.759 -1.606 0.049  C1 1.069
14 H 1.871 -2.827 1.041  C1 1.114
15 H 1.820 -2.763 -0.900  C1 1.156
16 H 2.205 -0.256 1.738  C3 1.149
17 H 0.961 -1.294 2.717  C3 1.170
18 H 0.579 0.427 1.855  C3 1.133
19 H -1.127 -1.397 1.500  N4 1.075
20 H -1.375 -2.369 -1.142  C5 1.036
21 H -2.548 -2.365 0.013  C5 1.082
22 H -2.792 -0.217 0.354  C6 1.147
23 H -2.567 -0.332 -1.454  C6 1.079
24 H 0.737 2.701 0.921  C10 1.141
25 H 0.383 3.168 -0.897  C10 1.151
26 H 0.623 -0.751 -1.516  C12 1.080
____________
Disruption of the Earth's magnetic field can be a problem. It can disrupt radio communication (including cell phones) rather severely. It can damage satellites that remain in orbit. It can generate “induced current” in any lengthy conductor. Let's pause for a moment and talk about that.
Someone pasted quantum chemistry results at this point >
The following is a DFT calculation (ωB97M-V/def2-TZVPD) of a 13-piece molecular cluster, C92H202N8O18 overall.

Computed properties:
DFT total energy in eV: -147437.8238
LUMO energy in eV: 0.53

Geometry as XYZ:
```
320
Properties=species:S:1:pos:R:3:forces:R:3
C -4.79143 -3.38167 -3.92600 -0.32 0.48 1.63
C -3.48625 -2.81383 -4.44400 0.11 0.45 0.62
C -2.25717 -3.17463 -3.58432 -1.12 -2.00 1.08
C -2.04967 -4.71905 -3.61760 -0.21 0.69 -0.60
C -1.78427 -5.15593 -5.05123 0.94 0.10 -0.28
C -2.87341 -4.73722 -6.05800 -0.40 0.08 0.70
N -3.23479 -3.33912 -5.81049 0.40 1.44 -0.43
O -4.33684 -3.01327 -6.70726 0.66 0.09 0.84
C -2.25165 -4.80245 -7.46381 -0.65 0.06 0.10
C -4.08396 -5.74500 -5.94395 1.04 1.35 -2.59
C -3.53110 -1.24450 -4.32563 -2.04 -0.74 -1.72
H -4.73826 -4.44099 -3.73576 -0.16 -0.41 -0.33
H -5.68719 -3.12631 -4.49690 0.40 -0.11 -0.35
H -4.97026 -2.96270 -2.92792 -0.05 0.08 0.03
H -1.39139 -2.58561 -3.86687 0.22 -0.09 -0.24
H -2.47316 -2.98536 -2.50099 0.01 0.42 -0.88
H -2.97404 -5.16577 -3.28912 -0.28 -0.24 0.47
H -1.28207 -4.97745 -2.89816 0.29 -0.33 -0.16
H -1.60080 -6.21313 -5.28285 -0.26 -0.14 0.76
H -0.80243 -4.72045 -5.27124 -0.17 0.35 -0.58
H -1.41222 -4.10705 -7.48684 0.10 -0.17 -0.15
H -1.93801 -5.83871 -7.64954 0.11 0.35 -0.14
H -2.98515 -4.49534 -8.23316 0.33 -0.28 0.35
H -4.06779 -6.25934 -5.04010 -0.48 -0.66 1.71
H -5.03882 -5.31634 -6.27926 0.29 0.03 0.67
H -3.83702 -6.45259 -6.72232 -0.14 -0.69 -0.11
H -3.71925 -0.79689 -3.32297 0.73 -0.78 -0.53
H -4.43056 -0.95298 -4.90827 0.34 0.16 0.18
H -2.69616 -0.86306 -4.88628 0.65 0.51 0.24
H -3.89277 -2.34470 -7.23470 -0.28 0.11 -0.27
C 4.12962 4.79498 -2.02284 -0.22 -0.45 -0.39
C 3.95989 5.02636 -0.53767 -0.73 0.49 -0.10
C 5.25367 5.64482 -0.06297 0.08 0.74 -0.07
C 5.19555 6.19275 1.34445 -0.85 0.16 -0.78
C 4.10804 7.30749 1.29151 1.88 -0.66 -0.91
C 2.77321 6.75988 0.89256 -1.22 -1.62 0.56
N 2.89752 6.06883 -0.43913 0.50 -0.47 0.44
O 1.66500 5.38119 -0.77698 -0.06 0.82 -0.19
C 2.22707 5.76609 1.99174 -0.83 -1.00 -1.79
C 1.72687 7.83600 0.62003 0.09 -1.52 0.01
C 3.73434 3.71812 0.21600 0.89 -1.09 -0.75
H 5.04679 4.24565 -2.17148 0.26 -0.47 -0.25
H 4.27382 5.75946 -2.47038 -0.01 0.54 -0.43
H 3.30059 4.29178 -2.54846 0.23 0.06 0.49
H 5.99116 4.89501 -0.21515 0.94 -0.67 0.05
H 5.48679 6.47436 -0.73829 0.12 -0.02 -0.01
H 6.12957 6.59622 1.66706 0.80 0.54 -0.07
H 5.02671 5.39328 2.06521 -0.56 0.07 0.13
H 4.42115 8.06226 0.53121 -0.07 -0.45 0.47
H 4.18127 7.76984 2.24279 -0.88 0.74 0.97
H 2.75349 4.78287 2.07510 -0.30 1.19 -0.08
H 2.22163 6.22011 2.94749 -0.07 0.61 1.04
H 1.17104 5.49654 1.69756 0.95 0.32 0.45
H 1.35183 8.25511 1.54805 0.08 0.58 -0.16
H 2.12478 8.47154 -0.15892 -0.06 0.77 0.23
H 0.94842 7.22660 0.16079 -0.55 0.55 0.15
H 4.04628 3.75974 1.26092 0.33 -0.15 -0.38
H 4.31847 2.91106 -0.34252 -0.58 0.90 0.92
H 2.71036 3.39950 0.22467 -0.61 -0.08 -0.25
H 1.29776 5.92303 -1.50849 0.43 -0.54 0.57
C 5.09194 -2.84495 -1.26616 -0.65 -0.56 -1.16
Induced current is a way of using magnetic fields to generate electicity. Remember how I said, in part 1, that the “current” of plasma created by the Sun's rotation on its axis generated a magnetic field? The reverse is also true. A moving magnetic field can generate an electrical current in any conductor placed within the field. So the disruption of the geomagnetic field constitutes a “moving” magnetic field and will induce electrical currents in everything from power lines to pipes and conduits.
When these truly huge induced currents hit things like transformers and circuit breakers and power stations, they can quickly overload them. This, in turn, can (and has) cause(d) blackouts and brownouts, particularly in parts of the country/world where the power grid is not robust enough to handle significant surges.
Here the page breaks off for quantum chemistry results =
┌──
Entry 1:
{"formula": "C3H10N4O", "method": "ωB97M-V/def2-TZVPD", "species": ["C", "N", "N", "N", "H", "H", "H", "H", "H", "C", "N", "C", "O", "H", "H", "H", "H", "H"], "coordinates": [[1.20562, -1.65592, 0.35225], [1.00685, 1.57334, -1.01071], [0.59363, 0.24456, -0.87120], [0.70074, -0.28016, 0.39509], [1.40781, 1.61796, -1.94973], [1.77014, 1.77134, -0.36892], [0.61858, -2.32597, -0.28517], [2.22142, -1.64988, -0.05653], [1.24334, -2.06935, 1.36397], [-1.27095, 0.93694, 1.38177], [-0.77832, -0.33877, 0.88268], [-0.74696, -0.08509, -1.45413], [-1.30485, 0.64425, -2.26652], [-1.48140, -1.05966, 0.74440], [-0.96715, -1.16354, -1.42620], [-1.97817, 1.39213, 0.68188], [-0.47308, 1.66472, 1.54380], [-1.76725, 0.78312, 2.34328]], "homo_lumo_gap_ev": 8.9, "smiles": "CNN(C)N(N)C=O"}



Entry 2:
{"formula": "C13H18Br2FPtS3", "method": "ωB97M-V/def2-TZVPD", "species": ["Pt", "C", "C", "S", "C", "C", "S", "C", "C", "S", "H", "H", "H", "H", "H", "H", "H", "H", "H", "H", "H", "H", "Br", "C", "Br", "H", "H", "F", "C", "C", "C", "C", "C", "C", "H", "H", "H", "H"], "coordinates": [[-0.10305, -0.08457, 0.02254], [0.80170, 1.61176, 2.52847], [2.11891, 1.60066, 1.76600], [2.14456, 0.07352, 0.62998], [2.89148, 0.79085, -0.86748], [2.10769, 1.90327, -1.53413], [0.31668, 1.52412, -1.67336], [-0.61562, 2.95558, -1.00842], [-0.37945, 3.31299, 0.44102], [-0.65371, 1.82712, 1.44932], [0.73110, 2.50039, 3.15943], [0.53889, 0.71545, 3.07327], [2.99297, 1.35037, 2.37667], [2.21321, 2.39439, 1.10129], [2.90994, -0.16041, -1.45682], [3.87288, 1.03274, -0.53019], [2.51073, 2.00231, -2.54985], [2.26710, 2.88794, -1.02218], [-1.64447, 2.71694, -1.27526], [-0.40128, 3.82976, -1.64363], [-1.21161, 3.97715, 0.74194], [0.56516, 3.82692, 0.61881], [0.85675, -2.39055, -2.63909], [-0.61253, -1.82726, -3.69877], [-2.08360, -1.06269, -2.65594], [-1.00717, -2.64785, -4.25111], [-0.40788, -0.97520, -4.37187], [-2.94355, -4.86651, 2.38537], [-2.41329, -3.91125, 1.73626], [-3.17808, -2.74669, 1.35468], [-2.56510, -1.76224, 0.63053], [-1.13611, -1.82955, 0.54925], [-0.39716, -3.01209, 0.86018], [-1.00334, -4.04050, 1.43216], [-4.26856, -2.73494, 1.51859], [-3.08258, -0.87146, 0.27145], [0.67478, -3.07915, 0.62085], [-0.40640, -4.83130, 1.91002]], "homo_lumo_gap_ev": [7.8, 3.1], "multiplicity": 5, "s2": 6.03, "total_charge": 3}



Entry 3:
└──
Back to the page =
Long pipelines, like the Alaskan Pipeline, can be affected as well. In fact corrosion is occurring at a higher rate than expected because its northerly location exposes it to such induced currents all the time (remember that the ends of a bar magnet's field are open).
And it causes the aurorae. Most of you reading this have heard of the Northern Lights, properly termed the Aurora Borealis, but there are also the Southern Lights, the Aurora Australis. These are actually ovals that circle the magnetic poles of Earth (and most other planets with magnetic fields, by the way. They've been photographed on Jupiter.) They are where the charged particles that have been caught up from the solar wind or CME into the geomagnetic field follow the field lines down into the atmosphere. The gas molecules become excited into a higher energy state, then discharge that extra energy as light. This is very similar – in fact, essentially the same – as a fluorescent light bulb, only natural and not contained. The colors are determined mostly by the main gas that is fluorescing. Carbon dioxide produces white light; nitrogen, pink or red; oxygen, green or blue. (It can also generate ozone.)
Now, having talked about all of this radiation that an increased solar wind and coronal mass ejections pump into our Earth's system in general, and the fact that there are more of these things when there are more sunspots, when do you think the Sun is sending out more energy, Solar Max, or Solar Min? Yup, despite the logic of sunspots being cooler, the Sun actually sends out more energy during Solar Max, when there are the most sunspots.
-Stephanie Osborn